ICCSD Denied State Waiver
State officials denied the ICCSD’s request to hold all classes online for two weeks.
February 16, 2021
As of Wednesday, January 6, 2021, Johnson County’s 14-day COVID-19 positivity rate was 12%, 2% above the Iowa City Community School District’s threshold, but 3% below the state’s 15% guideline. The ICCSD applied for a waiver to hold all classes and extracurricular activities in the district online for two weeks, but the waiver was denied by state officials.
“State guidelines say that [the district] shouldn’t be requesting a move to online until a 15% community positivity rate. The district asked us in their decision matrix, to look at that at above 10%. There’s some disconnect as far as best practice in some people’s mind, and what the state districts in Iowa do,” newly appointed ICCSD Superintendent, Matt Degner, said.
The ICCSD has applied for six waivers since the beginning of the delayed school year, starting on September 8. Of the six waivers the district has applied for, five have been granted, the most recent one has been denied.
“I don’t think much of the data we included was any different than any other time we’ve requested a waiver to provide online learning, but I think the state started to view the situation a little differently as far as wanting districts to be on-site,” Degner said.
Someone pasted calculated molecules at this point >
........
Entry from the OMol25 dataset: a single C4H8N2O2 molecule in a non-equilibrium geometry (ωB97M-V/def2-TZVPD).

Values from the calculation:
- HOMO (alpha / beta) (eV) = -7.939 / -7.938
- Kohn-Sham gap (alpha / beta) (eV) = 6.77 / 6.76
- total charge = 0
- F_max (eV/Å) = 3.648

The geometry in XYZ format:
```
16
C4H8N2O2 ωB97M-V/def2-TZVPD
C 1.4470 0.3147 0.8818
H 0.7430 1.0632 1.2410
N -1.9930 0.5031 0.2582
C 0.2526 0.7212 -1.3518
H -1.9368 0.4811 1.2723
C -0.6147 -1.3364 0.1407
H -2.1376 1.4030 -0.1915
H -0.8025 -1.4999 1.2039
N -1.3865 -0.3740 -0.4777
H -0.5219 -2.2511 -0.4318
H 1.7031 -0.3870 1.6753
H 0.2852 0.3226 -2.3822
C 0.8945 -0.4727 -0.3152
H 2.3495 0.8288 0.5575
O 0.0734 1.8813 -1.0731
O 1.6448 -1.1979 -1.0073
........
While about 40% of students are enrolled in the ICCSD Online Learning Program, 60% go to school in person, through the district’s Return-to-Learn program. The district is advised by local health officials from the Johnson County Public Health Department and the Healthy Kids Clinic at the University of Iowa, as safety is a top priority for the district.
“We have really tried to take the guidance of the local health department and have leaned on them for support and guidance, as these numerous situations have come up,” Degner said.
Records of molecules from another source follow
┌──
[1]
A cluster of 4 separate species, C64H46NO13P in total at a distorted geometry, computed with ωB97M-V/def2-TZVPD.

- molar mass (g/mol) = 1068.040
- E (eV) = -104507.17663
- HOMO level (eV) = -9.42

```
125
C64H46NO13P ωB97M-V/def2-TZVPD
O -1.27 -3.53 2.20
C -2.06 -3.90 1.37
O -2.63 -3.06 0.44
C -1.82 -3.07 -0.75
C -2.35 -2.03 -1.78
C -1.27 -0.97 -1.95
C -0.10 -1.24 -2.67
C 0.06 -2.60 -3.33
C -0.64 -2.62 -4.74
C -1.34 -3.93 -5.01
C -0.66 -5.02 -5.53
C -1.29 -6.20 -5.80
C -2.65 -6.36 -5.56
C -3.34 -5.29 -5.05
C -2.70 -4.10 -4.79
C 0.88 -0.25 -2.75
C 2.20 -0.45 -3.47
C 1.95 -0.88 -4.95
C 3.26 -1.01 -5.78
O 2.37 -2.17 -5.25
C 0.69 0.99 -2.13
P 1.97 2.30 -2.20
O 2.27 2.73 -3.59
C -0.47 1.24 -1.44
C -1.45 0.25 -1.34
C -2.59 0.78 -0.47
O -3.46 0.21 0.13
N -2.35 2.19 -0.49
O -3.22 2.83 -1.42
C -0.96 2.46 -0.65
O -0.36 3.40 -0.20
H -2.37 -4.96 1.36
H -1.74 -4.07 -1.19
H -0.80 -2.79 -0.45
H -2.60 -2.50 -2.73
H -3.22 -1.57 -1.30
H -0.45 -3.37 -2.75
H 1.11 -2.86 -3.46
H -1.36 -1.80 -4.84
H 0.08 -2.49 -5.55
H 0.40 -4.97 -5.76
H -0.74 -7.03 -6.23
H -3.12 -7.31 -5.80
H -4.40 -5.42 -4.87
H -3.32 -3.29 -4.41
H 2.83 -1.23 -3.04
H 2.76 0.48 -3.64
H 1.08 -0.48 -5.46
H 4.14 -1.45 -5.32
H 3.24 -1.43 -6.78
H 3.12 1.78 -1.56
H 1.57 3.43 -1.47
H -3.84 2.15 -1.71
C -3.14 1.21 3.30
C -2.04 1.83 2.73
C -1.82 3.18 2.93
C -2.72 3.92 3.69
C -3.84 3.30 4.24
C -4.04 1.94 4.05
C -4.84 4.09 5.02
O -5.82 3.55 5.50
C -4.62 5.55 5.19
C -5.57 6.31 5.86
C -5.37 7.67 6.03
C -4.22 8.27 5.54
C -3.27 7.52 4.86
C -3.47 6.16 4.67
C -2.47 5.37 3.92
O -1.46 5.90 3.48
H -3.30 0.15 3.15
H -1.34 1.26 2.13
H -0.96 3.67 2.49
H -4.91 1.46 4.49
H -6.46 5.84 6.25
H -6.11 8.26 6.55
H -4.06 9.34 5.68
H -2.38 7.99 4.48
C 0.14 5.00 6.34
C 1.44 4.62 6.69
C 1.89 4.80 7.98
C 1.05 5.38 8.93
C -0.24 5.78 8.57
C -0.69 5.58 7.28
C -1.13 6.45 9.56
O -2.25 6.79 9.25
C -0.61 6.68 10.94
C -1.41 7.35 11.86
C -0.95 7.57 13.15
C 0.31 7.11 13.52
C 1.11 6.45 12.61
C 0.66 6.24 11.31
C 1.54 5.56 10.33
O 2.64 5.16 10.65
H -0.21 4.85 5.33
H 2.09 4.18 5.95
H 2.89 4.50 8.26
H -1.69 5.88 7.00
H -2.39 7.71 11.57
H -1.57 8.09 13.86
H 0.67 7.27 14.53
H 2.09 6.09 12.90
C 4.47 -4.08 -10.18
C 5.29 -4.92 -10.92
C 5.63 -6.17 -10.43
C 5.16 -6.58 -9.19
C 4.36 -5.73 -8.43
C 4.01 -4.48 -8.94
C 3.88 -6.13 -7.08
O 3.18 -5.39 -6.43
C 4.30 -7.46 -6.55
C 3.91 -7.82 -5.27
C 4.28 -9.06 -4.76
C 5.02 -9.94 -5.54
C 5.42 -9.57 -6.82
C 5.06 -8.33 -7.32
C 5.52 -7.94 -8.68
O 6.17 -8.70 -9.36
H 4.20 -3.11 -10.57
H 5.67 -4.60 -11.89
H 6.27 -6.83 -11.01
H 3.37 -3.83 -8.36
H 3.32 -7.14 -4.66
H 3.98 -9.34 -3.76
H 5.30 -10.91 -5.15
H 6.00 -10.25 -7.42
```
└──
Here the text continues
Every school district in the state of Iowa has their own protocol, positivity threshold, and differ in their implementation of public health mitigation measures.
“We have made the commitment to support the districts as best we can. We’ve set up a weekly, now bi-weekly, workgroups with all school nurses to discuss different protocols and case investigations,” Sam Jarvis, Community Manager at the Johnson County Department of Public Health, said. “Every school district does it slightly differently. We recognize it’s a difficult position to be in, but overall it’s about safety and security.”
While many students in the hybrid learning model prefer to go to school in person, COVID-19 is still a significant concern for some.
“I do hybrid because I personally learn better in-person. When the positivity rate goes above 10% I do get a bit worried and wish school would go online for two weeks. I don’t mind going online for two weeks, it’s nice to be home and [my] schedule balances out,” Kimberly Marquez ‘22 said.
The Centers for Disease Control and Prevention (CDC) indicates that a 14-day community positivity rate of 5%t is a moderate risk for transmission of COVID-19. The CDC signals that a positivity rate of above 10% is the highest level of transmission in schools.
“Iowa was criticized for having higher [positivity] threshold metrics, and the Iowa City School District has established theirs that are much lower,” Jarvis said. “We have concerns where people are gathering, whether it’s small gatherings, larger gatherings, at work, social events, school, or anything. Given the fact that [the virus] spreads easily, there are a lot of mitigation measures that we’re asking the community to take.”
Entry 1:
Computed, not measured: a single C16H19FN4O3S molecule at a distorted geometry, with ωB97M-V/def2-TZVPD.

Properties
Molar mass, Da: 366.42
SMILES string: Cc1ccc(NC(=O)[C@H]2CCCN(S(=O)(=O)c3cnc[nH]3)C2)cc1F
Kohn-Sham gap, eV: 8.8
Largest force on an atom, eV/A: 1.13

```
! wB97M-V def2-TZVPD RIJCOSX def2/J DEFGRID3
* xyz 0 1
C 3.95 2.14 4.68
C 3.31 1.61 3.43
C 3.98 1.56 2.21
C 3.38 1.06 1.07
C 2.07 0.59 1.12
N 1.39 0.07 0.01
C 1.81 -0.03 -1.27
O 2.90 0.32 -1.68
C 0.77 -0.65 -2.20
C 0.51 -2.11 -1.82
C -0.44 -2.75 -2.83
C -1.70 -1.88 -3.00
N -1.71 -0.76 -2.08
S -2.27 -1.08 -0.55
O -1.38 -0.51 0.44
O -2.63 -2.45 -0.43
C -3.72 -0.06 -0.47
C -4.90 -0.01 -1.16
N -5.65 1.02 -0.70
C -4.95 1.59 0.25
N -3.76 0.97 0.42
C -0.57 0.12 -2.21
C 1.38 0.63 2.32
C 2.00 1.14 3.44
F 1.31 1.18 4.60
H 4.89 2.64 4.45
H 4.14 1.33 5.37
H 3.28 2.84 5.18
H 5.00 1.92 2.16
H 3.92 1.03 0.14
H 0.45 -0.23 0.23
H 1.21 -0.63 -3.20
H 1.46 -2.66 -1.81
H 0.08 -2.18 -0.83
H -0.73 -3.74 -2.47
H 0.06 -2.87 -3.79
H -1.76 -1.46 -4.01
H -2.60 -2.45 -2.81
H -5.25 -0.64 -1.95
H -5.27 2.43 0.82
H -3.03 1.16 1.09
H -0.68 0.68 -3.14
H -0.63 0.83 -1.38
H 0.36 0.27 2.39
*
```

Entry 2:
Computed, not measured: a single C16H19N3O4S2 molecule at a distorted geometry, with ωB97M-V/def2-TZVPD.

Properties
Molar mass, Da: 381.48
SMILES string: COc1ccc(S(=O)(=O)N2CCC(C(=O)Nc3nccs3)CC2)cc1
Kohn-Sham gap, eV: 9.2
Largest force on an atom, eV/A: 1.07
Energy relative to the best compared isomer or geometry (same formula, charge and spin), kcal per mole: 59.0

```
! wB97M-V def2-TZVPD RIJCOSX def2/J DEFGRID3
* xyz 0 1
C -2.07 -3.99 0.03
O -1.01 -3.67 -0.85
C -0.03 -2.85 -0.41
C 0.96 -2.54 -1.36
C 1.99 -1.69 -1.03
C 2.05 -1.16 0.25
S 3.33 0.03 0.64
O 4.47 -0.20 -0.20
O 3.50 0.08 2.06
N 2.71 1.53 0.20
C 1.57 1.95 0.99
C 0.76 3.00 0.24
C 0.20 2.40 -1.06
C -0.95 1.47 -0.70
O -0.86 0.27 -0.62
N -2.12 2.11 -0.40
C -3.23 1.43 0.02
N -4.35 2.00 0.31
C -5.27 1.08 0.69
C -4.84 -0.21 0.70
S -3.19 -0.31 0.20
C 1.29 1.62 -1.82
C 2.67 1.84 -1.21
C 1.10 -1.48 1.20
C 0.06 -2.32 0.87
H -2.60 -3.09 0.36
H -2.74 -4.63 -0.54
H -1.71 -4.54 0.91
H 0.88 -2.97 -2.34
H 2.76 -1.45 -1.73
H 1.95 2.34 1.93
H 0.93 1.09 1.21
H -0.06 3.34 0.88
H 1.39 3.86 0.01
H -0.20 3.22 -1.68
H -2.21 3.12 -0.47
H -6.25 1.43 0.96
H -5.39 -1.08 0.97
H 1.31 1.92 -2.87
H 1.04 0.56 -1.78
H 2.99 2.88 -1.35
H 3.41 1.19 -1.69
H 1.20 -1.08 2.19
H -0.69 -2.55 1.62
*
```

Entry 3:
Computed, not measured: a molecular structure, C16H19N3O5PPt, with ωB97M-V/def2-TZVPD.

Properties
Molar mass, Da: 559.40
Kohn-Sham gap, eV: 6.6
Largest force on an atom, eV/A: 0.91
Energy relative to the best compared isomer or geometry (same formula, charge and spin), kcal per mole: 0.0

```
! wB97M-V def2-TZVPD RIJCOSX def2/J DEFGRID3
* xyz 1 1
Pt -0.72 -0.15 -0.35
O 3.82 0.11 -0.46
C 3.97 -0.65 0.65
C 5.27 -0.80 1.12
C 5.52 -1.55 2.25
C 4.47 -2.17 2.94
C 3.19 -2.04 2.48
C 2.90 -1.28 1.33
C 1.52 -1.16 0.89
O 1.27 -0.37 -0.15
N 0.57 -1.84 1.54
N -0.65 -1.56 1.04
Some mitigation measures are more common behaviors that include washing your hands, covering your cough, and staying home when you’re ill. Other measures are newer and have become exceedingly important over the past year. These include wearing a mask, social distancing, and in some cases, self-quarantining. In the ICCSD, face coverings are required for all students and staff to be worn while in school.
“Stay safe and stay healthy. We’ll be continuing to share information out in local media and our social media, and we really want people to stay tuned in because right now we’re also doing vaccine planning, so there is more information to come,” Jarvis said.